**Brief**
What is needed: start at the top of the material further below and print each line, ending with the one that has "4.918 -5.596".
**Excerpt**
Computed, not measured: 6 unconnected molecules or ions with the total composition C19H42BF3N5O8, with the ωB97M-V functional and the def2-TZVPD basis.

The value obtained for the energy is -1949.41931 a.u. Its total charge is -1. As for the multiplicity: 1.

Cartesian coordinates (Å):
F -2.251 1.929 1.893
C -1.343 0.834 1.851
F -0.864 0.731 3.179
F -2.108 -0.277 1.498
O -0.365 1.176 0.930
C 0.266 0.008 0.314
C 0.870 -1.041 1.360
C 2.305 -1.618 0.791
O 2.340 -2.993 1.312
B 1.114 -3.180 2.121
O 0.135 -2.297 1.409
H 1.168 0.409 -0.266
H -0.384 -0.495 -0.480
H 1.113 -0.660 2.417
H 3.244 -1.087 1.178
H 2.325 -1.820 -0.347
H 0.599 -4.262 2.099
H 1.094 -2.714 3.234
C 3.253 -3.792 -3.247
C 4.045 -3.075 -2.192
O 3.801 -1.927 -1.858
N 5.066 -3.750 -1.595
C 5.510 -5.104 -1.842
H 2.475 -3.131 -3.629
H 3.901 -4.080 -4.078
H 2.778 -4.669 -2.805
H 5.550 -3.206 -0.896
H 5.433 -5.667 -0.909
H 6.557 -5.072 -2.153
H 4.918 -5.596 -2.611
C 4.081 3.122 3.705
C 3.065 2.063 3.368
O 3.204 1.308 2.420
N 1.962 1.959 4.158
C 1.610 2.748 5.317
H 4.899 3.078 2.986
H 3.625 4.113 3.650
H 4.489 2.949 4.704
H 1.328 1.226 3.866
H 1.506 2.076 6.172
H 0.649 3.232 5.126
H 2.358 3.506 5.541
C -3.334 1.589 -1.125
C -2.089 2.074 -1.817
O -1.054 1.425 -1.820
N -2.139 3.277 -2.455
C -3.259 4.188 -2.566
H -3.137 0.621 -0.665
H -3.626 2.290 -0.341
H -4.144 1.470 -1.848
H -1.267 3.532 -2.894
H -3.482 4.333 -3.625
H -2.965 5.146 -2.130
H -4.144 3.816 -2.058
C 1.797 -8.639 -1.028
C 1.898 -7.149 -1.226
O 2.015 -6.646 -2.340
N 1.855 -6.354 -0.126
C 1.722 -6.747 1.261
H 1.847 -9.135 -1.997
H 2.629 -8.993 -0.415
H 0.845 -8.892 -0.558
H 1.927 -5.366 -0.338
H 0.824 -6.277 1.666
H 2.592 -6.377 1.807
H 1.652 -7.827 1.378
C -5.518 7.866 -2.523
C -6.389 6.643 -2.406
O -6.084 5.578 -2.922
N -7.547 6.748 -1.699
C -8.082 7.908 -1.019
H -4.635 7.624 -3.113
H -6.062 8.668 -3.027
H -5.193 8.192 -1.533
H -8.074 5.887 -1.666
H -8.200 7.663 0.039
H -9.063 8.134 -1.443
H -7.436 8.777 -1.118

=====

96
Properties=species:S:1:pos:R:3:lowdin_charge:R:1 method="wB97M-V/def2-TZVPD" gap_ha="0.3478 / 0.1088" e_above_lowest_ev=1.2515 multiplicity=2 total_charge=+1 s_squared=0.754 total_energy_ev=-42293.9546 max_force_ev_per_a=4.30 e_lumo_ev="-2.354 / -8.858" homo_energy_ha="-0.434 / -0.434"
C -2.2785 2.6040 3.8587 -0.069
C -1.9990 4.0823 4.0026 -0.539
C -2.1532 4.6407 5.3965 -0.048
O -0.6825 4.2851 3.6138 -0.046
H -3.3150 2.4100 4.1348 0.084
H -1.5689 2.0121 4.4367 0.083
H -2.2502 2.2386 2.8321 0.054
H -2.6802 4.5957 3.3239 0.136
H -3.1813 4.3831 5.6509 0.082
H -2.0726 5.7245 5.3131 0.088
H -1.5049 4.2903 6.1997 0.088
H -0.2373 3.7378 4.2648 0.081
C 5.0644 -2.6349 2.4052 -0.037
C 5.5247 -1.1394 2.3260 -0.439
C 6.5965 -0.8968 1.2649 -0.051
O 4.3437 -0.4319 1.9373 -0.091
H 5.9229 -3.2669 2.6326 0.081
H 4.4709 -2.9888 1.5622 0.067
H 4.4464 -2.7879 3.2899 0.076
H 5.7816 -0.7818 3.3231 0.139
H 6.2269 -1.2030 0.2863 0.071
H 7.5783 -1.2996 1.5136 0.089
H 6.7833 0.1565 1.0554 0.075
H 4.6306 0.4800 1.8495 0.091
C -0.4823 0.2047 -0.1210 -0.012
C 0.8810 0.6321 0.5513 -0.452
C 0.9034 0.7631 2.0450 -0.038
O 1.7822 -0.3671 0.2683 -0.086
H -1.4021 0.6987 0.1923 0.057
H -0.7327 -0.8465 0.0219 0.060
H -0.3699 0.4158 -1.1844 0.056
H 1.4010 1.4908 0.1268 0.141
H 0.0726 1.3922 2.3646 0.069
H 1.7917 1.2384 2.4610 0.085
H 0.8675 -0.1974 2.5590 0.093
H 2.5576 -0.3049 0.8309 0.059
C -0.6527 -3.7877 -0.2426 -0.029
C -1.8487 -3.7638 -1.2127 -0.565
C -1.5451 -4.6961 -2.3446 -0.063
O -2.9084 -4.3235 -0.6053 -0.021
H -0.2856 -4.8110 -0.1635 0.088
H -0.9749 -3.5147 0.7623 0.065
H 0.2119 -3.1829 -0.5163 0.047
H -2.1366 -2.7792 -1.5813 0.134
H -2.2784 -4.5240 -3.1324 0.091
H -1.5221 -5.7172 -1.9638 0.101
H -0.5414 -4.5092 -2.7264 0.066
H -3.4683 -4.6612 -1.3082 0.103
C 3.6504 -2.8337 -2.1784 0.046
C 2.9656 -1.6955 -3.0088 -0.314
C 1.3918 -1.8131 -3.0251 0.045
O 3.1495 -0.4931 -2.3400 0.231
H 3.2385 -3.7414 -2.6194 0.107
H 3.3850 -2.7964 -1.1219 0.094
H 4.7323 -2.8589 -2.3091 0.102
H 3.4718 -1.5311 -3.9601 0.161
**Reply**
Computed, not measured: 6 unconnected molecules or ions with the total composition C19H42BF3N5O8, with the ωB97M-V functional and the def2-TZVPD basis.

The value obtained for the energy is -1949.41931 a.u. Its total charge is -1. As for the multiplicity: 1.

Cartesian coordinates (Å):
F -2.251 1.929 1.893
C -1.343 0.834 1.851
F -0.864 0.731 3.179
F -2.108 -0.277 1.498
O -0.365 1.176 0.930
C 0.266 0.008 0.314
C 0.870 -1.041 1.360
C 2.305 -1.618 0.791
O 2.340 -2.993 1.312
B 1.114 -3.180 2.121
O 0.135 -2.297 1.409
H 1.168 0.409 -0.266
H -0.384 -0.495 -0.480
H 1.113 -0.660 2.417
H 3.244 -1.087 1.178
H 2.325 -1.820 -0.347
H 0.599 -4.262 2.099
H 1.094 -2.714 3.234
C 3.253 -3.792 -3.247
C 4.045 -3.075 -2.192
O 3.801 -1.927 -1.858
N 5.066 -3.750 -1.595
C 5.510 -5.104 -1.842
H 2.475 -3.131 -3.629
H 3.901 -4.080 -4.078
H 2.778 -4.669 -2.805
H 5.550 -3.206 -0.896
H 5.433 -5.667 -0.909
H 6.557 -5.072 -2.153
H 4.918 -5.596 -2.611